First time in Viet Nam, exploring Saigon & eating good street food
Arriving at the Tan Son Nhat International Airport (Ho Chi Minh)
18 hours of flight time later – I made it to Ho Chi Minh City, Viet Nam! I landed at the Tan Son Nhat International Airport around 9:30 am. Immediately the humidity wrapped around me like a warm welcome as I was getting off the plane.
They say arriving to your destination city in the morning helps with jet lag symptoms, but I think that didn’t apply to me as I ended up staying up the last few hours prior to landing.
I may have paid the price for not taking a nap during the 3.5 hour flight from Taipei to Ho Chi Minh city and I immediately felt the sleepiness starting to take over.

Most people actually leave the main city to visit family in the countryside for the New Years celebrations in February. So actually the city is quieter during this time than usual. But on our arrival, the airport was extremely busy this Saturday morning.
Walking out of the airport was like walking onto the red carpet (I’ve never done this, but I imagine this is what it feels like). There was just a sea of people sitting and standing outside waiting for their friends and family.
If you have family in Saigon, likely you will be greeted with not one family member, but the whole family – which is why I think it was so bustling at the arrivals exit. I met my cousins and auntie for the first time and we took a couple photos before jumping into a taxi to head to our hotel.
In a future blog post, I’ll be sharing what to do when you arrive to the airport including tips on immigration, SIM cards, currency & getting a taxi to your hotel (stay tuned!)
Exploring Saigon
I like to take it slow on the first couple days of travel. Especially when you do a big trip like this and cross many time zones, you need to slowly get adjusted.
After checking into the hotel, washing up my face and changing out of my airport clothes, we took a walk around the neighbourhood. There were so many street vendors selling clothing, fruits, food and more – I felt completely over stimulated from the amount of stuff, people and motorists on the street.

**Materials data, kept here for reference**
<<<
This entry pairs a crystal structure of Er5Ir2 with its computed powder diffractogram. Radiation: Cu Kα. Structure: a cell relaxed with PBE.
No peak broadening, texture or thermal motion is included.

Most intense lines, 2θ = 10–80°, by intensity:
- 32.07 deg, I = 100
- 31.97 deg, I = 72
- 33.18 deg, I = 63
- 19.91 deg, I = 55
- 30.45 deg, I = 49
- 35.86 deg, I = 48
- 36.27 deg, I = 48
- 40.29 deg, I = 47
- 36.38 deg, I = 40
- 35.26 deg, I = 40
- 46.96 deg, I = 35
- 40.59 deg, I = 31

Structural model:
Unit cell a=8.438 b=8.438 c=7.164 alpha=96.58 beta=96.58 gamma=44.92
Element x y z (fractional)
Er: 0.071 0.929 0.750
Er: 0.151 0.289 0.316
Er: 0.289 0.151 0.816
Er: 0.290 0.526 0.081
Er: 0.474 0.710 0.419
Er: 0.526 0.290 0.581
Er: 0.710 0.474 0.919
Er: 0.711 0.849 0.184
Er: 0.849 0.711 0.684
Er: 0.929 0.071 0.250
Ir: 0.106 0.674 0.426
Ir: 0.326 0.894 0.074
Ir: 0.674 0.106 0.926
Ir: 0.894 0.326 0.574

~~~~~

[1]
For Zr4CuSb7, DFT lattice parameters and positions (PBE) gives the simulated powder XRD pattern in this record (CuKα).
Intensities are scaled so that the largest is 100.

Structure:
a = 11.2595 Å, b = 11.2595 Å, c = 8.7695 Å
α = 90.00°, β = 90.00°, γ = 90.00°
Fractional positions:
Zr1 0.0000 0.0000 0.0000
Zr2 0.0000 0.5000 0.9828
Zr3 0.0044 0.2492 0.5181
Zr4 0.2462 0.2538 0.9919
Zr5 0.2492 0.9956 0.5181
Zr6 0.2508 0.4956 0.5181
Zr7 0.2538 0.7538 0.9919
Zr8 0.4956 0.7492 0.5181
Zr9 0.5000 0.0000 0.9828
Zr10 0.5000 0.5000 0.0000
Zr11 0.5044 0.2508 0.5181
Zr12 0.7462 0.2462 0.9919
Zr13 0.7492 0.5044 0.5181
Zr14 0.7508 0.0044 0.5181
Zr15 0.7538 0.7462 0.9919
Zr16 0.9956 0.7508 0.5181
Cu1 0.1255 0.6255 0.2513
Cu2 0.3745 0.1255 0.2513
Cu3 0.6255 0.8745 0.2513
Cu4 0.8745 0.3745 0.2513
Sb1 0.0000 0.0000 0.6461
Sb2 0.0000 0.5000 0.6318
Sb3 0.0029 0.7507 0.8720
Sb4 0.1080 0.3920 0.2568
Sb5 0.1248 0.8574 0.2564
Sb6 0.1426 0.1248 0.2564
Sb7 0.2469 0.7469 0.6406
Sb8 0.2493 0.0029 0.8720
Sb9 0.2507 0.5029 0.8720
Sb10 0.2531 0.2469 0.6406
Sb11 0.3574 0.6248 0.2564
Sb12 0.3752 0.3574 0.2564
Sb13 0.3920 0.8920 0.2568
Sb14 0.4971 0.2507 0.8720
Sb15 0.5000 0.0000 0.6318
Sb16 0.5000 0.5000 0.6461
Sb17 0.5029 0.7493 0.8720
Sb18 0.6080 0.1080 0.2568
Sb19 0.6248 0.6426 0.2564
Sb20 0.6426 0.3752 0.2564
Sb21 0.7469 0.7531 0.6406
Sb22 0.7493 0.4971 0.8720
Sb23 0.7507 0.9971 0.8720
Sb24 0.7531 0.2531 0.6406
Sb25 0.8574 0.8752 0.2564
Sb26 0.8752 0.1426 0.2564
Sb27 0.8920 0.6080 0.2568
Sb28 0.9971 0.2493 0.8720

Largest 6 diffraction maxima, in order of rising 2θ, 2θ from 10° to 90°:
d = 2.947 Å, intensity 38.0; d = 2.923 Å, intensity 32.0; d = 2.680 Å, intensity 100.0; d = 2.369 Å, intensity 57.1; d = 2.356 Å, intensity 61.1; d = 1.990 Å, intensity 49.9

***

[2]
For Gd3Bi7, DFT lattice parameters and positions (PBE) gives the simulated powder XRD pattern in this record (CuKα).
Intensities are scaled so that the largest is 100.

Structure:
a = 13.5787 Å, b = 13.5787 Å, c = 4.7490 Å
α = 90.00°, β = 90.00°, γ = 159.99°
Fractional positions:
Gd1 0.0000 0.0000 0.0000
>>>

Street food I ate on my first day in Viet Nam
We had a late lunch at a street vendor at a local market near our hotel. I luckily had family who lives in Viet Nam help pick out safe street food vendors to try, as you see a lot of meat that often sits out in the heat. You want to be careful not to get sick while you’re out travelling!
Here are some must try Vietnamese dishes & desserts:
Bún Măng Vịt
Duck noodle soup with bean sprouts & banana leaf

Starting from a crystal structure in Alexandria, relaxed with GGA-PBE, the PXRD pattern of SrU4S8 was calculated for Cu Kα (λ = 1.5418 Å).
No peak broadening, texture or thermal motion is included.

```
data_SrU4S8
_chemical_formula_sum 'Sr2 U8 S16'
_cell_length_a 13.782
_cell_length_b 7.992
_cell_length_c 9.858
_cell_angle_alpha 90.00
_cell_angle_beta 133.44
_cell_angle_gamma 90.00
_symmetry_space_group_name_H-M 'C 1 2/m 1'
_symmetry_Int_Tables_number 12
_symmetry_space_group_name_Hall '-C 2y'
loop_
_atom_site_label
_atom_site_fract_x
_atom_site_fract_y
_atom_site_fract_z
Sr1 0.000 0.000 0.000
U1 0.000 0.253 0.500
U2 0.231 0.500 0.465
S1 0.004 0.000 0.692
S2 0.027 0.500 0.711
S3 0.230 0.232 0.294
```

The 10 most intense peaks (10 to 90 degrees two-theta), by intensity:
| 2θ/deg | d [Å] | I/Imax | h k l |
| --- | --- | --- | --- |
| 12.4 | 7.158 | 100 | 0 0 1 |
| 25.8 | 3.453 | 52 | 2 2 -1 |
| 28.8 | 3.103 | 36 | 2 2 -2 |
| 35.9 | 2.499 | 32 | 4 0 0 |
| 28.6 | 3.123 | 29 | 4 0 -1 |
| 36.3 | 2.477 | 28 | 2 2 -3 |
| 45.6 | 1.991 | 16 | 6 2 -3 |
| 47.2 | 1.925 | 15 | 6 2 -2 |
| 24.9 | 3.579 | 13 | 0 0 2 |
| 46.1 | 1.971 | 9 | 2 2 2 |

* * * * *

Entry 1:
The following is a calculated powder diffractogram of Ba7Al10. It was derived from a PBE-relaxed structure, using CuKα.
No peak broadening, texture or thermal motion is included.

Top 10 peaks for 10 to 90 degrees two-theta, sorted by position:
2θ = 21.11°, rel. 22, hkl 1 0 7
2θ = 22.23°, rel. 18, hkl 0 1 8
2θ = 24.73°, rel. 23, hkl 1 0 10
2θ = 28.96°, rel. 36, hkl 1 0 13
2θ = 29.57°, rel. 100, hkl 1 1 0
2θ = 30.47°, rel. 30, hkl 0 1 14
2θ = 33.60°, rel. 20, hkl 1 0 16
2θ = 36.85°, rel. 33, hkl 1 1 12
2θ = 52.47°, rel. 20, hkl 3 0 0
2θ = 61.38°, rel. 18, hkl 2 2 0

a = 6.0416 Å, b = 6.0416 Å, c = 49.6105 Å
α = 90.00°, β = 90.00°, γ = 120.00°
Space group R-3m (No. 166, hexagonal axes)
Inequivalent atoms, fractional coordinates:
Ba  0.0000  0.0000  0.0000
Ba  0.0000  0.0000  0.1407
Ba  0.0000  0.0000  0.3708
Ba  0.0000  0.0000  0.4476
Al  0.0000  0.0000  0.2161
Al  0.0000  0.0000  0.2990
Al  0.0152  0.5076  0.5911

***

Entry 2:
The following is a calculated powder diffractogram of BaAlCuBiO5. It was derived from a PBE-relaxed structure, using CuKα.
No peak broadening, texture or thermal motion is included.

Top 10 peaks for 10 to 90 degrees two-theta, sorted by position:
2θ = 18.94°, rel. 25, hkl 0 0 2
2θ = 25.66°, rel. 82, hkl 1 0 1
2θ = 28.57°, rel. 28, hkl 0 0 3
2θ = 30.59°, rel. 100, hkl 1 0 2
2θ = 33.91°, rel. 50, hkl 1 1 0
2θ = 44.92°, rel. 37, hkl 1 1 3
2θ = 45.70°, rel. 24, hkl 1 0 4
2θ = 48.72°, rel. 32, hkl 2 0 0
2θ = 55.86°, rel. 21, hkl 2 1 1
2θ = 58.63°, rel. 32, hkl 2 1 2

a = 3.7382 Å, b = 3.7382 Å, c = 9.3716 Å
α = 90.00°, β = 90.00°, γ = 90.00°
Space group P4mm (No. 99)
Inequivalent atoms, fractional coordinates:
Ba  0.0000  0.0000  0.0000
Al  0.0000  0.0000  0.3867
Cu  0.5000  0.5000  0.2235
Bi  0.5000  0.5000  0.6421
O  0.0000  0.5000  0.2509
O  0.0000  0.5000  0.5106
The entry goes on >

Chè Thái
Vietnamese dessert made with assorted sweetened beans, wiggly jellies, creamy coconut milk and crushed ice

Cà Phê Trứng
Egg coffee dessert with crushed ice

Nước Mía
Freshly squeezed Sugar cane drink

• Attached: materials data:
+++
Computed powder X-ray diffraction pattern of NaGdTiO4 for Cu Ka, from a GGA-PBE-relaxed structure.

Main lines, by angle (2θ from 10° to 80°):
Position (°2θ)  I_rel
27.41  91
31.72  100
33.03  32
33.76  44
42.91  23
47.95  36
55.64  20
56.58  17
58.17  18
59.10  17

Cell and atoms:
a = 12.6541 Å, b = 5.4233 Å, c = 5.3110 Å
α = 90.00°, β = 90.00°, γ = 90.00°
Element x y z (fractional)
Na: 0.0863 0.0083 0.2500
Na: 0.0863 0.4917 0.7500
Na: 0.9137 0.5083 0.2500
Na: 0.9137 0.9917 0.7500
Gd: 0.3934 0.0225 0.2500
Gd: 0.3934 0.4775 0.7500
Gd: 0.6066 0.5225 0.2500
Gd: 0.6066 0.9775 0.7500
Ti: 0.2348 0.5082 0.2500
Ti: 0.2348 0.9918 0.7500
Ti: 0.7652 0.0082 0.2500
Ti: 0.7652 0.4918 0.7500
O: 0.0966 0.5416 0.2500
O: 0.0966 0.9584 0.7500
O: 0.2564 0.2500 0.0000
O: 0.2564 0.2500 0.5000
O: 0.2845 0.7500 0.0000
O: 0.2845 0.7500 0.5000
O: 0.4348 0.0649 0.7500
O: 0.4348 0.4351 0.2500
O: 0.5652 0.5649 0.7500
O: 0.5652 0.9351 0.2500
O: 0.7155 0.2500 0.0000
O: 0.7155 0.2500 0.5000
O: 0.7436 0.7500 0.0000
O: 0.7436 0.7500 0.5000
O: 0.9034 0.0416 0.2500
O: 0.9034 0.4584 0.7500
+++
• Back to the text:

Hủ Tiếu Nam Vang
pork & prawn clear noodle soup with a quail egg

That’s it for day one of my South East Asia travels!
In future posts, you can expect more like this where I go through my day, as well as separate posts highlighting more details on where to go, how to navigate the city, what to eat and more. If there’s anything else you’d like to know about Ho Chi Minh city, let me know in the comments below or send me a DM on instagram!